Input:
(1)
VASP calculation (PBE) on Tl2InTc after structural relaxation.

Properties
- Excess energy over the best structure of this formula in the dataset: 0.172 eV/atom
- Raw total energy: -31.39 eV for the cell shown
- Energy relative to the elements: 0.54 eV/atom
- Space group: No. 122

a = 7.796 Å, b = 7.796 Å, c = 7.796 Å
α = 96.67°, β = 96.67°, γ = 140.14°
Fractional coordinates of all 8 atoms:
Tl  0.375  0.126  0.251
Tl  0.874  0.125  0.249
Tl  0.875  0.124  0.749
Tl  0.876  0.625  0.751
In  0.250  0.750  0.500
In  0.500  0.500  0.000
Tc  0.000  0.000  0.000
Tc  0.750  0.250  0.500

(2)
VASP calculation (PBE) on Tl2InTc after structural relaxation.

Properties
- Excess energy over the best structure of this formula in the dataset: 0.289 eV/atom
- Raw total energy: -15.23 eV for the cell shown
- Energy relative to the elements: 0.65 eV/atom
- Space group: No. 12

a = 6.179 Å, b = 6.179 Å, c = 3.273 Å
α = 105.31°, β = 105.31°, γ = 119.77°
Fractional coordinates of all 4 atoms:
Tl  0.000  0.500  0.000
Tl  0.500  0.000  0.000
In  0.000  0.000  0.500
Tc  0.500  0.500  0.500

(3)
VASP calculation (PBE) on TlIn2Tc after structural relaxation.

Properties
- Raw total energy: -16.56 eV for the cell shown
- Energy relative to the elements: 0.41 eV/atom
- Space group: No. 99

a = 3.142 Å, b = 3.142 Å, c = 9.277 Å
α = 90.00°, β = 90.00°, γ = 90.00°
Fractional coordinates of all 4 atoms:
Tl  0.000  0.000  0.000
In  0.000  0.000  0.585
In  0.500  0.500  0.301
Tc  0.500  0.500  0.782

(4)
VASP calculation (PBE) on Tl2InTc after structural relaxation.

Properties
- Excess energy over the best structure of this formula in the dataset: 0.001 eV/atom
- Raw total energy: -16.38 eV for the cell shown
- Energy relative to the elements: 0.37 eV/atom
- Space group: No. 71

a = 7.711 Å, b = 7.711 Å, c = 7.711 Å
α = 157.44°, β = 144.58°, γ = 42.41°
Fractional coordinates of all 4 atoms:
Tl  0.178  0.178  0.000
Tl  0.822  0.822  0.000
In  0.500  0.000  0.500
Tc  0.000  0.500  0.500

(5)
VASP calculation (PBE) on TlIn2Tc after structural relaxation.

Properties
- Raw total energy: -16.33 eV for the cell shown
- Energy relative to the elements: 0.47 eV/atom
- Space group: No. 139

a = 5.412 Å, b = 5.412 Å, c = 5.412 Å
α = 133.34°, β = 133.34°, γ = 68.13°
Fractional coordinates of all 4 atoms:
Tl  0.000  0.000  0.000
In  0.250  0.750  0.500
In  0.750  0.250  0.500
Tc  0.500  0.500  0.000

(6)
VASP calculation (PBE) on TlInTc2 after structural relaxation.

Properties
- Excess energy over the best structure of this formula in the dataset: 0.495 eV/atom
- Raw total energy: -23.07 eV for the cell shown
- Energy relative to the elements: 0.69 eV/atom
- Space group: No. 119

a = 5.081 Å, b = 5.081 Å, c = 5.081 Å
α = 131.48°, β = 131.48°, γ = 71.05°
Fractional coordinates of all 4 atoms:
Tl  0.000  0.000  0.000
In  0.250  0.750  0.500
Tc  0.500  0.500  0.000
Tc  0.750  0.250  0.500

(7)
VASP calculation (PBE) on TlIn2Tc2 after structural relaxation.

Properties
- Raw total energy: -53.71 eV for the cell shown
- Energy relative to the elements: 0.34 eV/atom
- Space group: No. 127

a = 6.930 Å, b = 6.930 Å, c = 4.218 Å
α = 90.00°, β = 90.00°, γ = 90.00°
Fractional coordinates of all 10 atoms:
Tl  0.000  0.000  0.000
Tl  0.500  0.500  0.000
In  0.167  0.333  0.500
In  0.333  0.833  0.500
In  0.667  0.167  0.500
In  0.833  0.667  0.500
Tc  0.124  0.624  0.000
Tc  0.376  0.124  0.000
Tc  0.624  0.876  0.000
Tc  0.876  0.376  0.000

(8)
VASP calculation (PBE) on TlInTcW2 after structural relaxation.

Properties
- Raw total energy: -31.50 eV for the cell shown
- Energy relative to the elements: 1.98 eV/atom
- Space group: No. 123

a = 4.812 Å, b = 4.812 Å, c = 6.854 Å
α = 90.00°, β = 90.00°, γ = 90.00°
Fractional coordinates of all 5 atoms:
Tl  0.000  0.000  0.000
In  0.500  0.500  0.000
Tc  0.000  0.000  0.500
W  0.000  0.500  0.500
W  0.500  0.000  0.500

Activity:
What is needed: restate only the lines above with the word "over" in them.

Completed:
- Excess energy over the best structure of this formula in the dataset: 0.172 eV/atom
- Excess energy over the best structure of this formula in the dataset: 0.289 eV/atom
- Excess energy over the best structure of this formula in the dataset: 0.001 eV/atom
- Excess energy over the best structure of this formula in the dataset: 0.495 eV/atom